Next, say how many lines of the rows below hold the word "set", as a bare number.

- - -
Computed, not measured: a cluster of 2 separate species, C3H10N2O3 in total in a non-equilibrium geometry, with ωB97M-V with the def2-TZVPD basis set.

The geometry in XYZ format:
```
18
C3H10N2O3 | the OMol25 dataset | ωB97M-V with the def2-TZVPD basis set
H -1.24 3.28 0.10
H -0.11 -2.69 0.04
H -1.24 -0.77 2.00
H 0.33 0.16 -1.52
H 2.41 0.65 0.55
O 0.32 0.99 1.45
H -1.85 -2.68 0.80
O -0.47 3.41 -0.46
H 1.17 -1.16 -0.85
C 0.13 0.03 0.71
H -1.08 -1.63 -1.67
N -0.78 -0.91 1.10
H 1.94 1.59 -0.65
C -1.08 -2.05 0.29
C 0.88 -0.13 -0.59
N 2.16 0.62 -0.45
H 0.21 3.05 0.12
O -1.72 -1.74 -0.96
```

- Kohn-Sham gap: 0.3883 hartree
- SMILES string: NCC(=O)NCO.O
- E_tot: -12395.609 eV
- Energy relative to the best compared isomer or geometry (same formula, charge and spin): 26.0 kcal/mol
- E_HOMO: -9.965 eV
- LUMO level: 0.600 eV

=====

Record 1
26
Properties=species:S:1:pos:R:3:mulliken_charge:R:1 method="wB97M-V/def2-TZVPD" homo_energy_ev=-9.5 smiles=OCCO.OCCO.O.O relative_energy_kcal_mol=50.83 homo_lumo_gap_ev=9.7
O -1.721 -0.520 0.090 -0.46
C -2.120 -0.569 -1.264 -0.42
C -0.974 -0.138 -2.186 -0.10
O -1.464 -0.044 -3.523 -0.54
H -0.935 -1.082 0.208 0.34
H -2.463 -1.581 -1.507 0.30
H -3.005 0.046 -1.433 0.29
H -0.208 -0.910 -2.134 0.09
H -0.608 0.798 -1.763 0.22
H -1.495 0.892 -3.739 0.35
O 1.075 2.908 1.264 -0.57
C 0.642 1.536 1.342 0.39
C 0.035 1.197 2.680 -0.46
O -0.876 2.116 3.232 -0.55
H 0.494 3.338 0.636 0.34
H -0.023 1.391 0.493 -0.24
H 1.504 0.872 1.233 0.20
H 0.834 1.032 3.414 0.32
H -0.447 0.220 2.623 0.25
H -0.453 2.966 3.380 0.32
O 2.890 -2.444 -1.168 -0.66
H 2.893 -3.352 -1.498 0.32
H 3.513 -1.974 -1.734 0.30
O 0.601 -2.166 0.328 -0.66
H 0.920 -2.134 1.237 0.29
H 1.392 -2.398 -0.210 0.35

---

Record 2
27
Properties=species:S:1:pos:R:3:mulliken_charge:R:1 method="wB97M-V/def2-TZVPD" homo_energy_ev=-11.1 smiles="O=C(O)CCCO.O.O.O.O" relative_energy_kcal_mol=0.00 homo_lumo_gap_ev=11.5
O -0.261 -2.210 -1.773 -0.57
C -0.434 -2.229 -0.578 0.43
O -1.193 -3.171 0.024 -0.47
C 0.012 -1.177 0.425 -0.51
C 0.685 0.024 -0.196 0.56
C 2.065 0.375 0.354 -0.59
O 2.060 1.775 0.654 -0.53
H -1.787 -3.577 -0.624 0.36
H -0.907 -1.011 0.978 0.07
H 0.632 -1.751 1.129 0.35
H 0.069 0.894 0.015 -0.59
H 0.776 -0.123 -1.260 0.45
H 2.890 0.141 -0.306 0.33
H 2.270 -0.192 1.268 0.28
H 2.985 2.032 0.740 0.30
O -2.375 2.511 -0.661 -0.64
H -2.770 1.649 -0.457 0.33
H -1.525 2.204 -1.005 0.32
O 2.104 -1.792 -3.585 -0.64
H 1.179 -1.871 -3.316 0.39
H 2.545 -1.542 -2.757 0.30
O -0.333 2.336 2.277 -0.63
H 0.632 2.294 2.258 0.30
H -0.642 2.610 1.405 0.36
O -2.958 0.469 1.318 -0.60
H -3.597 0.920 1.878 0.30
H -2.121 0.411 1.793 0.33

---

Record 3
38
Properties=species:S:1:pos:R:3:mulliken_charge:R:1 method="wB97M-V/def2-TZVPD" homo_energy_ev=-5.6 charge=-1 homo_lumo_gap_ev=7.3
N -0.769 -2.928 2.421 -0.52
B -1.285 -2.066 1.261 0.39
O -0.314 -1.486 0.269 -0.45
S -3.174 -1.774 1.142 0.83
O -3.355 -0.239 1.077 -0.63
O -3.612 -2.364 -0.218 -0.68
N -3.862 -2.547 2.547 -0.40
S -5.401 -1.861 3.006 0.76
O -5.342 -0.340 3.373 -0.60
O -5.814 -2.584 4.346 -0.68
B -6.810 -2.270 1.787 0.55
O -7.252 -3.689 1.553 -0.52
O -7.570 -1.237 1.042 -0.48
H 0.198 -3.278 2.242 0.21
H -0.853 -2.414 3.325 0.25
H -0.816 -0.754 -0.231 0.31
H -6.627 -4.152 0.922 0.33
H -6.937 -0.522 0.725 0.35
C 1.977 1.595 -3.375 -0.73
S 1.335 -0.096 -3.311 0.38
O 0.113 -0.081 -2.441 -0.55
C 2.693 -0.777 -2.330 -0.82
H 1.260 2.217 -3.917 0.37
H 2.101 1.986 -2.363 0.05
H 2.933 1.604 -3.902 0.37
H 2.775 -0.242 -1.381 0.21
H 3.627 -0.694 -2.890 0.38
H 2.483 -1.831 -2.133 0.31
C 3.819 4.100 -0.660 -0.93
S 5.367 3.305 -1.157 0.46
O 5.011 2.101 -1.979 -0.55
C 5.819 2.721 0.494 -0.92
H 3.338 4.509 -1.552 0.32
H 3.155 3.369 -0.194 0.28
H 4.033 4.913 0.038 0.38
H 5.034 2.073 0.891 0.30
H 5.970 3.577 1.156 0.36
H 6.751 2.155 0.418 0.31

---

Record 4
25
Properties=species:S:1:pos:R:3:mulliken_charge:R:1 method="wB97M-V/def2-TZVPD" homo_energy_ev=-12.7 relative_energy_kcal_mol=34.01 charge=+1 homo_lumo_gap_ev=10.0
- - -

2